Excerpt:
........
(1)
## Pm2Ho4Er5 (PBE-GGA)

Data for a geometry-optimized Pm2Ho4Er5 structure.

The density of states at the Fermi level is 1.47 states/eV/atom. The space-group type is P-1 (2). As for the formation energy: 0.065 eV/atom. Its polymorph energy (0 for the lowest one) is 0 meV/atom.

a b c (Å): 3.653 9.157 10.827
angles (deg): 102.52 99.68 90.00
Positions (direct):
Pm: 0.115 0.005 0.228
Pm: 0.885 0.995 0.772
Ho: 0.171 0.419 0.342
Ho: 0.472 0.794 0.944
Ho: 0.528 0.206 0.056
Ho: 0.829 0.581 0.658
Er: 0.000 0.500 0.000
Er: 0.251 0.827 0.503
Er: 0.381 0.306 0.763
Er: 0.619 0.694 0.237
Er: 0.749 0.173 0.497

---

(2)
## SeBr (PBE-GGA)

Data for a geometry-optimized SeBr structure.

The density of states at the Fermi level is 0.81 states/eV/atom. The space-group type is I4/mmm (139). The value obtained for the energy relative to the elements, uncorrected is 0.442 eV per atom.

a b c (Å): 4.269 4.269 4.269
angles (deg): 110.93 110.93 106.59
Positions (direct):
Se: 0.000 0.000 0.000
Br: 0.500 0.500 0.000

---

(3)
## Y2CoC (PBE-GGA)

Data for a geometry-optimized Y2CoC structure.

The density of states at the Fermi level is 1.01 states/eV/atom. The space-group type is Immm (71). As for the formation energy: -0.274 eV/atom.

a b c (Å): 6.919 6.919 6.919
angles (deg): 150.12 149.58 43.17
Positions (direct):
Y: 0.130 0.130 0.000
Y: 0.870 0.870 0.000
Co: 0.500 0.500 0.000
C: 0.000 0.500 0.500

---

(4)
## PmEuAgRu (PBE-GGA)

Data for a geometry-optimized PmEuAgRu structure.

The density of states at the Fermi level is 2.90 states/eV/atom. The space-group type is F-43m (216). As for the formation energy: -0.095 eV/atom.

a b c (Å): 5.098 5.098 5.098
angles (deg): 60.00 60.00 60.00
Positions (direct):
Pm: 0.000 0.000 0.000
Eu: 0.500 0.500 0.500
Ag: 0.750 0.750 0.750
Ru: 0.250 0.250 0.250

---

(5)
## NbNiSnPd (PBE-GGA)

Data for a geometry-optimized NbNiSnPd structure.

The density of states at the Fermi level is 0.72 states/eV/atom. The space-group type is F-43m (216). As for the formation energy: -0.206 eV/atom.

a b c (Å): 4.523 4.523 4.523
angles (deg): 60.00 60.00 60.00
Positions (direct):
Nb: 0.000 0.000 0.000
Ni: 0.250 0.250 0.250
Sn: 0.500 0.500 0.500
Pd: 0.750 0.750 0.750

---

(6)
## NaUCuSe3 (PBE-GGA)

Data for a geometry-optimized NaUCuSe3 structure.

The density of states at the Fermi level is 1.00 states/eV/atom. The space-group type is P2_1/m (11). The value obtained for the energy relative to the elements, uncorrected is -0.958 eV per atom.

a b c (Å): 8.398 4.036 9.207
angles (deg): 90.00 104.64 90.00
Positions (direct):
Na: 0.199 0.250 0.252
Na: 0.801 0.750 0.748
U: 0.319 0.750 0.834
U: 0.681 0.250 0.166
Cu: 0.082 0.250 0.587
Cu: 0.918 0.750 0.413
Se: 0.092 0.250 0.857
Se: 0.227 0.750 0.522
Se: 0.437 0.750 0.158
Se: 0.563 0.250 0.842
Se: 0.773 0.250 0.478
Se: 0.908 0.750 0.143

---

(7)
## BeTc2 (PBE-GGA)

Data for a geometry-optimized BeTc2 structure.

The density of states at the Fermi level is 1.11 states/eV/atom. The space-group type is P6_3/mmc (194). As for the formation energy: 0.067 eV/atom. Its polymorph energy (0 for the lowest one) is 335 meV/atom.

a b c (Å): 4.214 4.214 4.936
angles (deg): 90.00 90.00 120.00
Positions (direct):
Be: 0.333 0.667 0.250
Be: 0.667 0.333 0.750
Tc: 0.000 0.000 0.000
Tc: 0.000 0.000 0.500
Tc: 0.333 0.667 0.750
Tc: 0.667 0.333 0.250

---

(8)
## TlPPt (PBE-GGA)

Data for a geometry-optimized TlPPt structure.

The density of states at the Fermi level is 0.30 states/eV/atom. The space-group type is I4mm (107). As for the formation energy: -0.090 eV/atom. Its polymorph energy (0 for the lowest one) is 71 meV/atom.

a b c (Å): 6.746 6.746 6.746
angles (deg): 152.36 152.36 39.49
Positions (direct):
Tl: 0.000 0.000 0.000
P: 0.733 0.733 0.000
Pt: 0.301 0.301 0.000

---

Repeat the third record exactly.
## Y2CoC (PBE-GGA)

Data for a geometry-optimized Y2CoC structure.
........
Request:
Please print all of the contents earlier on without altering anything.
Completed:
(1)
## Pm2Ho4Er5 (PBE-GGA)

Data for a geometry-optimized Pm2Ho4Er5 structure.

The density of states at the Fermi level is 1.47 states/eV/atom. The space-group type is P-1 (2). As for the formation energy: 0.065 eV/atom. Its polymorph energy (0 for the lowest one) is 0 meV/atom.

a b c (Å): 3.653 9.157 10.827
angles (deg): 102.52 99.68 90.00
Positions (direct):
Pm: 0.115 0.005 0.228
Pm: 0.885 0.995 0.772
Ho: 0.171 0.419 0.342
Ho: 0.472 0.794 0.944
Ho: 0.528 0.206 0.056
Ho: 0.829 0.581 0.658
Er: 0.000 0.500 0.000
Er: 0.251 0.827 0.503
Er: 0.381 0.306 0.763
Er: 0.619 0.694 0.237
Er: 0.749 0.173 0.497

---

(2)
## SeBr (PBE-GGA)

Data for a geometry-optimized SeBr structure.

The density of states at the Fermi level is 0.81 states/eV/atom. The space-group type is I4/mmm (139). The value obtained for the energy relative to the elements, uncorrected is 0.442 eV per atom.

a b c (Å): 4.269 4.269 4.269
angles (deg): 110.93 110.93 106.59
Positions (direct):
Se: 0.000 0.000 0.000
Br: 0.500 0.500 0.000

---

(3)
## Y2CoC (PBE-GGA)

Data for a geometry-optimized Y2CoC structure.

The density of states at the Fermi level is 1.01 states/eV/atom. The space-group type is Immm (71). As for the formation energy: -0.274 eV/atom.

a b c (Å): 6.919 6.919 6.919
angles (deg): 150.12 149.58 43.17
Positions (direct):
Y: 0.130 0.130 0.000
Y: 0.870 0.870 0.000
Co: 0.500 0.500 0.000
C: 0.000 0.500 0.500

---

(4)
## PmEuAgRu (PBE-GGA)

Data for a geometry-optimized PmEuAgRu structure.

The density of states at the Fermi level is 2.90 states/eV/atom. The space-group type is F-43m (216). As for the formation energy: -0.095 eV/atom.

a b c (Å): 5.098 5.098 5.098
angles (deg): 60.00 60.00 60.00
Positions (direct):
Pm: 0.000 0.000 0.000
Eu: 0.500 0.500 0.500
Ag: 0.750 0.750 0.750
Ru: 0.250 0.250 0.250

---

(5)
## NbNiSnPd (PBE-GGA)

Data for a geometry-optimized NbNiSnPd structure.

The density of states at the Fermi level is 0.72 states/eV/atom. The space-group type is F-43m (216). As for the formation energy: -0.206 eV/atom.

a b c (Å): 4.523 4.523 4.523
angles (deg): 60.00 60.00 60.00
Positions (direct):
Nb: 0.000 0.000 0.000
Ni: 0.250 0.250 0.250
Sn: 0.500 0.500 0.500
Pd: 0.750 0.750 0.750

---

(6)
## NaUCuSe3 (PBE-GGA)

Data for a geometry-optimized NaUCuSe3 structure.

The density of states at the Fermi level is 1.00 states/eV/atom. The space-group type is P2_1/m (11). The value obtained for the energy relative to the elements, uncorrected is -0.958 eV per atom.

a b c (Å): 8.398 4.036 9.207
angles (deg): 90.00 104.64 90.00
Positions (direct):
Na: 0.199 0.250 0.252
Na: 0.801 0.750 0.748
U: 0.319 0.750 0.834
U: 0.681 0.250 0.166
Cu: 0.082 0.250 0.587
Cu: 0.918 0.750 0.413
Se: 0.092 0.250 0.857
Se: 0.227 0.750 0.522
Se: 0.437 0.750 0.158
Se: 0.563 0.250 0.842
Se: 0.773 0.250 0.478
Se: 0.908 0.750 0.143

---

(7)
## BeTc2 (PBE-GGA)

Data for a geometry-optimized BeTc2 structure.

The density of states at the Fermi level is 1.11 states/eV/atom. The space-group type is P6_3/mmc (194). As for the formation energy: 0.067 eV/atom. Its polymorph energy (0 for the lowest one) is 335 meV/atom.

a b c (Å): 4.214 4.214 4.936
angles (deg): 90.00 90.00 120.00
Positions (direct):
Be: 0.333 0.667 0.250
Be: 0.667 0.333 0.750
Tc: 0.000 0.000 0.000
Tc: 0.000 0.000 0.500
Tc: 0.333 0.667 0.750
Tc: 0.667 0.333 0.250

---

(8)
## TlPPt (PBE-GGA)

Data for a geometry-optimized TlPPt structure.

The density of states at the Fermi level is 0.30 states/eV/atom. The space-group type is I4mm (107). As for the formation energy: -0.090 eV/atom. Its polymorph energy (0 for the lowest one) is 71 meV/atom.

a b c (Å): 6.746 6.746 6.746
angles (deg): 152.36 152.36 39.49
Positions (direct):
Tl: 0.000 0.000 0.000
P: 0.733 0.733 0.000
Pt: 0.301 0.301 0.000

---

Repeat the third record exactly.
## Y2CoC (PBE-GGA)

Data for a geometry-optimized Y2CoC structure.